### Given
Entry 1:
SrCa2Re: relaxed, GGA-PBE.

a b c (Å): 5.7010 5.7010 5.7010
angles (deg): 127.41 127.14 77.80
Element x y z (fractional)
Re 0.5005 0.5005 0.0000
Ca 0.9997 0.9997 0.0000
Ca 0.7490 0.2490 0.5000
Sr 0.2508 0.7508 0.5000

- N(E_F): 4.4 states/eV/f.u.
- Total magnetic moment: 0.92 μB per formula unit
- Distance to the lowest polymorph of the same formula: 141 meV per atom
- Mass density: 5.168 g cm⁻³

Entry 2:
IrRu: relaxed, GGA-PBE.

a b c (Å): 3.6950 6.8147 10.8897
angles (deg): 90.00 90.00 90.00
Element x y z (fractional)
Ir 0.0000 0.8858 0.8612
Ir 0.5000 0.1142 0.6388
Ir 0.5000 0.1142 0.3612
Ir 0.0000 0.8858 0.1388
Ir 0.0000 0.6134 0.5000
Ir 0.5000 0.3866 0.0000
Ru 0.0000 0.8906 0.6398
Ru 0.5000 0.1094 0.8602
Ru 0.5000 0.1094 0.1398
Ru 0.0000 0.8906 0.3602
Ru 0.0000 0.6096 0.0000
Ru 0.5000 0.3904 0.5000

- N(E_F): 1.9 states/eV/f.u.
- Total magnetic moment: 0.00 μB per formula unit
- Distance to the lowest polymorph of the same formula: 1201 meV per atom
- Mass density: 10.656 g cm⁻³

Entry 3:
CaErGa2Au5: relaxed, GGA-PBE.

a b c (Å): 4.4950 4.4950 9.0092
angles (deg): 90.00 90.00 90.00
Element x y z (fractional)
Ca 0.0000 0.0000 0.5000
Er 0.0000 0.0000 0.0000
Ga 0.5000 0.5000 0.1334
Ga 0.5000 0.5000 0.8666
Au 0.0000 0.5000 0.2692
Au 0.5000 0.0000 0.2692
Au 0.0000 0.5000 0.7308
Au 0.5000 0.0000 0.7308
Au 0.5000 0.5000 0.5000

- N(E_F): 3.2 states/eV/f.u.
- Total magnetic moment: 0.00 μB per formula unit
- Mass density: 12.148 g cm⁻³
- Final energy: -3.7395 eV per atom

Entry 4:
SiGeN: relaxed, GGA-PBE.

a b c (Å): 8.2185 2.9859 8.8276
angles (deg): 90.00 115.32 90.00
Element x y z (fractional)
Si 0.5648 0.0000 0.6762
Si 0.5648 0.5000 0.1762
Si 0.1985 0.0000 0.0230
Si 0.1985 0.5000 0.5230
Ge 0.0945 0.0000 0.7037
Ge 0.0945 0.5000 0.2037
Ge 0.7570 0.0000 0.5288
Ge 0.7570 0.5000 0.0288
N 0.4371 0.0000 0.1178
N 0.4371 0.5000 0.6178
N 0.6982 0.0000 0.8872
N 0.6982 0.5000 0.3872

- N(E_F): 0.4 states/eV/f.u.
- ΔE_f (raw): -0.155 eV/atom
- Total magnetic moment: 0.00 μB per formula unit
- Distance to the lowest polymorph of the same formula: 298 meV per atom
- Mass density: 3.892 g cm⁻³

Entry 5:
PrTmOsPd: relaxed, GGA-PBE.

a b c (Å): 4.9496 4.9496 4.9496
angles (deg): 60.00 60.00 60.00
Element x y z (fractional)
Pr 0.2500 0.2500 0.2500
Tm 0.7500 0.7500 0.7500
Os 0.5000 0.5000 0.5000
Pd 0.0000 0.0000 0.0000

- N(E_F): 2.5 states/eV/f.u.
- Total magnetic moment: 0.00 μB per formula unit
- Mass density: 11.746 g cm⁻³
- Final energy: -6.8303 eV per atom

Entry 6:
CaBi3S: relaxed, GGA-PBE.

a b c (Å): 5.8215 5.8215 5.8215
angles (deg): 90.00 90.00 90.00
Element x y z (fractional)
S 0.5000 0.5000 0.5000
Ca 0.0000 0.0000 0.0000
Bi 0.0000 0.5000 0.0000
Bi 0.0000 0.0000 0.5000
Bi 0.5000 0.0000 0.0000

- N(E_F): 4.2 states/eV/f.u.
- ΔE_f (raw): 0.834 eV/atom
- Total magnetic moment: 1.25 μB per formula unit
- Distance to the lowest polymorph of the same formula: 878 meV per atom
- Mass density: 5.884 g cm⁻³

Entry 7:
TlAgP: relaxed, GGA-PBE.

a b c (Å): 4.6457 4.6457 4.6457
angles (deg): 60.00 60.00 60.00
Element x y z (fractional)
Ag 0.5000 0.5000 0.5000
P 0.7500 0.7500 0.7500
Tl 0.0000 0.0000 0.0000

- N(E_F): 2.1 states/eV/f.u.
- Total magnetic moment: 0.00 μB per formula unit
- Distance to the lowest polymorph of the same formula: 212 meV per atom
- Mass density: 8.039 g cm⁻³

Entry 8:
CuSi23: relaxed, GGA-PBE.

a b c (Å): 10.2094 10.2094 10.2094
angles (deg): 90.00 90.00 90.00
Element x y z (fractional)
Cu 0.0000 0.0000 0.0000
Cu 0.5000 0.5000 0.5000
Si 0.2500 0.0000 0.5000
Si 0.7500 0.0000 0.5000
Si 0.0000 0.5000 0.2500
Si 0.0000 0.5000 0.7500
Si 0.5000 0.2500 0.0000
Si 0.5000 0.7500 0.0000
Si 0.6825 0.6825 0.6825
Si 0.6825 0.3175 0.3175
Si 0.3175 0.6825 0.3175
Si 0.3175 0.3175 0.6825
Si 0.8175 0.8175 0.8175
Si 0.8175 0.1825 0.1825
Si 0.1825 0.8175 0.1825
Si 0.1825 0.1825 0.8175
Si 0.3175 0.3175 0.3175
Si 0.3175 0.6825 0.6825
Si 0.6825 0.3175 0.6825
Si 0.6825 0.6825 0.3175
Si 0.1825 0.1825 0.1825
Si 0.1825 0.8175 0.8175
### Assignment
It remains to set down the entries further above with every line break kept.
### Response
Entry 1:
SrCa2Re: relaxed, GGA-PBE.

a b c (Å): 5.7010 5.7010 5.7010
angles (deg): 127.41 127.14 77.80
Element x y z (fractional)
Re 0.5005 0.5005 0.0000
Ca 0.9997 0.9997 0.0000
Ca 0.7490 0.2490 0.5000
Sr 0.2508 0.7508 0.5000

- N(E_F): 4.4 states/eV/f.u.
- Total magnetic moment: 0.92 μB per formula unit
- Distance to the lowest polymorph of the same formula: 141 meV per atom
- Mass density: 5.168 g cm⁻³

Entry 2:
IrRu: relaxed, GGA-PBE.

a b c (Å): 3.6950 6.8147 10.8897
angles (deg): 90.00 90.00 90.00
Element x y z (fractional)
Ir 0.0000 0.8858 0.8612
Ir 0.5000 0.1142 0.6388
Ir 0.5000 0.1142 0.3612
Ir 0.0000 0.8858 0.1388
Ir 0.0000 0.6134 0.5000
Ir 0.5000 0.3866 0.0000
Ru 0.0000 0.8906 0.6398
Ru 0.5000 0.1094 0.8602
Ru 0.5000 0.1094 0.1398
Ru 0.0000 0.8906 0.3602
Ru 0.0000 0.6096 0.0000
Ru 0.5000 0.3904 0.5000

- N(E_F): 1.9 states/eV/f.u.
- Total magnetic moment: 0.00 μB per formula unit
- Distance to the lowest polymorph of the same formula: 1201 meV per atom
- Mass density: 10.656 g cm⁻³

Entry 3:
CaErGa2Au5: relaxed, GGA-PBE.

a b c (Å): 4.4950 4.4950 9.0092
angles (deg): 90.00 90.00 90.00
Element x y z (fractional)
Ca 0.0000 0.0000 0.5000
Er 0.0000 0.0000 0.0000
Ga 0.5000 0.5000 0.1334
Ga 0.5000 0.5000 0.8666
Au 0.0000 0.5000 0.2692
Au 0.5000 0.0000 0.2692
Au 0.0000 0.5000 0.7308
Au 0.5000 0.0000 0.7308
Au 0.5000 0.5000 0.5000

- N(E_F): 3.2 states/eV/f.u.
- Total magnetic moment: 0.00 μB per formula unit
- Mass density: 12.148 g cm⁻³
- Final energy: -3.7395 eV per atom

Entry 4:
SiGeN: relaxed, GGA-PBE.

a b c (Å): 8.2185 2.9859 8.8276
angles (deg): 90.00 115.32 90.00
Element x y z (fractional)
Si 0.5648 0.0000 0.6762
Si 0.5648 0.5000 0.1762
Si 0.1985 0.0000 0.0230
Si 0.1985 0.5000 0.5230
Ge 0.0945 0.0000 0.7037
Ge 0.0945 0.5000 0.2037
Ge 0.7570 0.0000 0.5288
Ge 0.7570 0.5000 0.0288
N 0.4371 0.0000 0.1178
N 0.4371 0.5000 0.6178
N 0.6982 0.0000 0.8872
N 0.6982 0.5000 0.3872

- N(E_F): 0.4 states/eV/f.u.
- ΔE_f (raw): -0.155 eV/atom
- Total magnetic moment: 0.00 μB per formula unit
- Distance to the lowest polymorph of the same formula: 298 meV per atom
- Mass density: 3.892 g cm⁻³

Entry 5:
PrTmOsPd: relaxed, GGA-PBE.

a b c (Å): 4.9496 4.9496 4.9496
angles (deg): 60.00 60.00 60.00
Element x y z (fractional)
Pr 0.2500 0.2500 0.2500
Tm 0.7500 0.7500 0.7500
Os 0.5000 0.5000 0.5000
Pd 0.0000 0.0000 0.0000

- N(E_F): 2.5 states/eV/f.u.
- Total magnetic moment: 0.00 μB per formula unit
- Mass density: 11.746 g cm⁻³
- Final energy: -6.8303 eV per atom

Entry 6:
CaBi3S: relaxed, GGA-PBE.

a b c (Å): 5.8215 5.8215 5.8215
angles (deg): 90.00 90.00 90.00
Element x y z (fractional)
S 0.5000 0.5000 0.5000
Ca 0.0000 0.0000 0.0000
Bi 0.0000 0.5000 0.0000
Bi 0.0000 0.0000 0.5000
Bi 0.5000 0.0000 0.0000

- N(E_F): 4.2 states/eV/f.u.
- ΔE_f (raw): 0.834 eV/atom
- Total magnetic moment: 1.25 μB per formula unit
- Distance to the lowest polymorph of the same formula: 878 meV per atom
- Mass density: 5.884 g cm⁻³

Entry 7:
TlAgP: relaxed, GGA-PBE.

a b c (Å): 4.6457 4.6457 4.6457
angles (deg): 60.00 60.00 60.00
Element x y z (fractional)
Ag 0.5000 0.5000 0.5000
P 0.7500 0.7500 0.7500
Tl 0.0000 0.0000 0.0000

- N(E_F): 2.1 states/eV/f.u.
- Total magnetic moment: 0.00 μB per formula unit
- Distance to the lowest polymorph of the same formula: 212 meV per atom
- Mass density: 8.039 g cm⁻³

Entry 8:
CuSi23: relaxed, GGA-PBE.

a b c (Å): 10.2094 10.2094 10.2094
angles (deg): 90.00 90.00 90.00
Element x y z (fractional)
Cu 0.0000 0.0000 0.0000
Cu 0.5000 0.5000 0.5000
Si 0.2500 0.0000 0.5000
Si 0.7500 0.0000 0.5000
Si 0.0000 0.5000 0.2500
Si 0.0000 0.5000 0.7500
Si 0.5000 0.2500 0.0000
Si 0.5000 0.7500 0.0000
Si 0.6825 0.6825 0.6825
Si 0.6825 0.3175 0.3175
Si 0.3175 0.6825 0.3175
Si 0.3175 0.3175 0.6825
Si 0.8175 0.8175 0.8175
Si 0.8175 0.1825 0.1825
Si 0.1825 0.8175 0.1825
Si 0.1825 0.1825 0.8175
Si 0.3175 0.3175 0.3175
Si 0.3175 0.6825 0.6825
Si 0.6825 0.3175 0.6825
Si 0.6825 0.6825 0.3175
Si 0.1825 0.1825 0.1825
Si 0.1825 0.8175 0.8175